Best science fiction and fantasy books of 2020

The Ministry for the Future
by Kim Stanley Robinson, Orbit
Robinson is a writer who believes fiction can make a difference to the world. His latest is a bold docu-fictional extrapolation of how humanity might tackle the climate crisis, blending practical ideas and information with vivid prose – the astonishing opening chapter, in which a heatwave kills millions, will stay with me for a very long time. Robinson knows we can’t be saved by a single heroic flourish but by difficult, drawn-out and, above all, collective labour. A crucial book for our time.

Unrelated to this article: records of molecules =
/*
{
  "formula": "C4H7N4",
  "method": "ωB97M-V with the def2-TZVPD basis set",
  "species": ["C", "C", "C", "C", "N", "N", "N", "N", "H", "H", "H", "H", "H", "H", "H"],
  "positions_angstrom": [[2.64706, -2.05433, 1.91746], [-1.69630, 0.23614, -0.95298], [-0.82150, -1.39105, 0.32192], [0.12934, 1.95846, -0.81873], [2.40879, -1.01759, 1.47976], [0.09173, -0.38864, 0.27563], [-0.47487, 0.68432, -0.55006], [-1.93346, -0.91137, -0.30360], [-2.37429, 0.95053, -1.42334], [2.62586, -3.06398, 2.19244], [-0.15481, 2.78087, -0.11180], [1.23203, 1.86477, -0.54000], [-0.02652, 2.24806, -1.87231], [1.03008, -0.35359, 0.76441], [-2.68315, -1.54260, -0.37881]],
  "e_homo_ev": -13.8,
  "total_charge": 1,
  "max_force_ev_per_a": 3.75,
  "multiplicity": 1
}

=====

{
  "formula": "C4H7N4O2",
  "method": "ωB97M-V with the def2-TZVPD basis set",
  "species": ["C", "C", "O", "O", "C", "N", "C", "N", "N", "N", "H", "H", "H", "H", "H", "H", "H"],
  "positions_angstrom": [[-0.83637, 1.52183, -2.03198], [-1.25675, 0.80313, -0.79391], [-1.79087, 1.33805, 0.14212], [-0.99388, -0.56196, -0.81065], [-0.78309, -1.09097, 0.45034], [0.58618, -0.77578, 0.92431], [0.97333, 0.30922, 1.53199], [2.30478, 0.20838, 1.76103], [2.69201, -0.92923, 1.30530], [1.66024, -1.54516, 0.79975], [-1.21908, 0.96341, -2.88068], [-1.23705, 2.51917, -2.02269], [0.24611, 1.53026, -2.10007], [-0.83830, -2.16851, 0.35922], [-1.50983, -0.77595, 1.18822], [0.32614, 1.12150, 1.79571], [1.67643, -2.46738, 0.38201]],
  "smiles": "CC(=O)OCn1cnn[nH+]1",
  "e_homo_ev": -15.1,
  "total_charge": 1,
  "max_force_ev_per_a": 1.72,
  "multiplicity": 1
}

=====

{
  "formula": "C4H7N5O",
  "method": "ωB97M-V with the def2-TZVPD basis set",
  "species": ["O", "C", "C", "N", "N", "N", "N", "C", "N", "C", "H", "H", "H", "H", "H", "H", "H"],
  "positions_angstrom": [[-0.47872, -2.10439, 0.28991], [-0.44052, -0.75591, 0.09005], [1.31050, -0.15550, -0.01041], [2.39955, -0.93472, -0.12931], [3.40433, -0.15229, 0.02121], [3.06928, 1.07765, 0.23718], [1.68252, 1.05301, 0.26457], [-1.22200, 0.19540, 1.04558], [-1.39019, 1.14161, -0.12130], [-1.16177, -0.05537, -1.07519], [-0.45537, -2.64366, -0.64100], [1.12206, 1.82021, 0.39816], [-2.21298, -0.40105, 1.32085], [-0.74543, 0.61260, 1.89073], [-2.33898, 1.68443, -0.31459], [-0.45394, 0.22103, -1.89877], [-2.08834, -0.60305, -1.36767]],
  "smiles": "OC1(c2nnn[nH]2)CNC1",
  "e_homo_ev": -10.1,
  "total_charge": 0,
  "max_force_ev_per_a": 5.15,
  "multiplicity": 1
}

=====

{
  "formula": "C4H7NO",
  "method": "ωB97M-V with the def2-TZVPD basis set",
  "species": ["C", "C", "C", "N", "C", "O", "H", "H", "H", "H", "H", "H", "H"],
*/

by Alex Pheby, Galley Beggar
The Gormenghastly city of Mordew is built on living mud – we discover it’s God’s body, not quite dead – that teems with grotesque and fantastical life. Pheby’s protagonist Nathan rises from the slums to meet a special destiny. It may sound like a cliched storyline, but the relentless inventiveness and verve of Pheby’s imagination make this book stand alone. Startling, baroque, sometimes revolting – but always amazing.

The New Wilderness
by Diane Cook, Oneworld
Evidence of the increasing interpenetration of SF and literary fiction, this Booker-shortlisted novel is set in a climate emergency-ravaged near future. Bea and her daughter Agnes get the chance to escape the choking City for a Wilderness zone where they must relearn humanity’s old hunter-gatherer skills. Cook leavens her satire with sly wit and real wisdom, expertly deconstructing the borderline separating human beings and other animals.

King of the Rising
by Kacen Callender, Orbit
The follow-up to Callender’s award-winning Queen of the Conquered returns to her Caribbean-inspired fantasy world. A noblewoman and her former bodyguard use any and every means to overthrow colonialist invaders, and the revolution in which they are involved is a messy affair. This is a more action-filled story than the slower-burn first volume, always alert to the ways justice inevitably compromises with realpolitik.

# What comes next are molecular data, not part of the entry
┌──
C40H62As2Br2HfINO8SeSi | the ωB97M-V functional and the def2-TZVPD basis

E_LUMO: -5.857 eV
HOMO: -12.7 eV
total charge: +2
spin multiplicity: 1

Last column: Löwdin charge in e.
Atoms and positions in Å:
Hf (0.4214, 0.1760, 0.6215)  1.37
C (2.5430, -1.6207, 1.2509)  -0.13
C (1.4890, -1.0934, 2.1641)  -0.33
C (0.4477, -2.1902, 2.1066)  -0.20
C (0.9429, -3.1941, 1.3242)  0.03
C (2.2511, -2.8700, 0.8088)  -0.16
C (3.2007, -3.8161, 0.1086)  -0.54
C (2.4869, -4.7586, -0.8635)  -0.04
C (4.2628, -3.0259, -0.6620)  -0.04
C (3.8770, -4.6604, 1.2016)  -0.02
C (-0.9571, -2.2132, 2.7089)  -0.51
C (-1.6257, -0.8548, 2.4515)  -0.13
C (-1.0020, -2.5522, 4.2073)  -0.02
C (-1.8079, -3.2840, 2.0147)  -0.05
C (2.1756, -0.7481, 3.5487)  -0.51
C (1.3596, 0.1344, 4.4809)  -0.10
C (2.4986, -2.0749, 4.2495)  -0.01
C (3.5087, -0.0096, 3.3250)  -0.04
H (3.4752, -1.1065, 1.0902)  0.09
H (0.4196, -4.1136, 1.1051)  0.12
H (2.1139, -4.2190, -1.7345)  0.07
H (1.6615, -5.2925, -0.3907)  0.08
H (3.1895, -5.5098, -1.2253)  0.10
H (3.7908, -2.3218, -1.3541)  0.07
H (4.8924, -3.7046, -1.2384)  0.10
H (4.9151, -2.4654, 0.0097)  0.08
H (3.1453, -5.2570, 1.7494)  0.09
H (4.4001, -4.0240, 1.9167)  0.09
H (4.6026, -5.3418, 0.7549)  0.10
H (-1.0564, -0.0140, 2.8713)  -0.02
H (-2.6163, -0.7977, 2.9102)  0.12
H (-1.8285, -0.7102, 1.3755)  0.02
H (-0.5250, -1.8191, 4.8497)  0.07
H (-0.5181, -3.5139, 4.3792)  0.10
H (-2.0424, -2.6444, 4.5248)  0.10
H (-1.7851, -3.1811, 0.9301)  0.06
H (-2.8452, -3.1984, 2.3430)  0.10
H (-1.4637, -4.2837, 2.2806)  0.10
H (0.3280, -0.1796, 4.6088)  0.03
H (1.3651, 1.1580, 4.1219)  0.01
H (1.8235, 0.1440, 5.4688)  0.11
H (1.6025, -2.6212, 4.5334)  0.07
H (3.0698, -1.8757, 5.1580)  0.10
H (3.1021, -2.7195, 3.6099)  0.08
H (3.4210, 0.7893, 2.5835)  0.07
H (4.3026, -0.6846, 3.0086)  0.09
H (3.8291, 0.4479, 4.2619)  0.10
Br (-2.5104, 1.9906, 0.8805)  0.62
C (-2.3905, 3.8921, 0.4562)  -0.92
Br (-0.7073, 4.4208, -0.2794)  0.72
H (-2.5301, 4.4062, 1.3995)  0.01
H (-3.1889, 4.0863, -0.2555)  -0.02
I (-1.0935, 2.5560, 4.1402)  1.09
C (0.5262, 3.1039, 2.9273)  -0.75
C (1.1064, 4.2947, 3.3482)  -0.14
C (2.2556, 4.7604, 2.7424)  -0.01
C (2.8037, 3.9938, 1.7317)  -0.03
C (2.1616, 2.8352, 1.3580)  -0.21
N (1.0192, 2.3640, 1.9093)  -0.06
H (0.6556, 4.8380, 4.1650)  0.09
H (2.7168, 5.6822, 3.0698)  0.13
H (3.7158, 4.2847, 1.2316)  0.12
H (2.5752, 2.2384, 0.5630)  0.00
C (3.8729, 3.2437, -2.1616)  -0.20
Si (3.9667, 1.3843, -2.3114)  0.32
C (3.7394, 0.7632, -4.0504)  -0.21
C (5.4247, 0.6688, -1.4017)  -0.19
Se (1.9591, 0.5553, -1.2522)  0.40
H (4.5112, 3.7278, -2.9033)  0.05
H (4.2225, 3.5680, -1.1803)  0.02
H (2.8522, 3.5980, -2.3121)  0.02
H (4.6292, 0.9421, -4.6571)  0.05
H (2.8981, 1.2633, -4.5317)  0.03
H (3.5506, -0.3111, -4.0457)  0.03
H (6.3292, 1.2394, -1.6229)  0.05
H (5.6079, -0.3692, -1.6805)  0.03
H (5.2621, 0.7132, -0.3231)  0.03
C (-0.5929, -3.6203, -2.0660)  0.04
O (-1.6369, -2.6215, -2.1581)  0.04
C (-1.5584, -1.5828, -1.3964)  -0.53
└──

War of the Maps
by Paul McAuley, Gollancz
Nobody writes hard SF better than McAuley. This novel is set on a far-future cosmic megastructure whose godlike builders have long since departed, leaving behind myriad scattered populations. Across this dilapidated territory a lawman chases a dangerous criminal. The titular maps are cartographic, but also refer to inhabitants’ gene lines, under threat from a “red plague” that rewrites biology into ghastly new forms. Narrative drive, sense of wonder and some gorgeous monstrosity come together in McAuley’s graceful prose.

____________
Entry 1:
Density functional theory data (ωB97M-V with the def2-TZVPD basis set) for an isolated molecule of C18H17F3N2O4.

Calculated values
Multiplicity: 1
Structure (SMILES): O=C(Nc1ccc(OC(F)(F)F)cc1)Oc1ccccc1N1CCOCC1
Charge: 0
Energy relative to the best compared isomer or geometry (same formula, charge and spin) (kJ/mol): 0.0
E (eV): -38265.180
HOMO-LUMO gap (eV): 8.369

Last column: Mulliken charge in e.
Element x y z (Å)
O: 0.0640 -1.0574 -1.0249  -0.622
C: -0.0142 -1.2658 0.1529  0.737
N: 1.0081 -1.2477 1.0619  -0.035
C: 2.3535 -0.9645 0.8437  0.481
C: 3.2266 -1.0362 1.9303  -0.645
C: 4.5659 -0.7520 1.7710  -0.403
C: 5.0476 -0.3921 0.5201  0.526
O: 6.4310 -0.1226 0.4739  -0.407
C: 6.9951 0.2791 -0.6429  0.909
F: 8.2874 0.4970 -0.4172  -0.282
F: 6.4936 1.4251 -1.1398  -0.246
F: 6.9275 -0.6077 -1.6533  -0.248
C: 4.1971 -0.3190 -0.5682  -0.646
C: 2.8521 -0.6048 -0.4039  -0.691
O: -1.1537 -1.5743 0.8197  -0.563
C: -2.3428 -1.5464 0.0725  0.109
C: -3.0283 -2.7358 -0.0764  -0.472
C: -4.1878 -2.7831 -0.8302  -0.619
C: -4.6330 -1.6293 -1.4504  -0.860
C: -3.9582 -0.4356 -1.2877  -0.637
C: -2.8039 -0.3482 -0.5015  0.990
N: -2.0926 0.8241 -0.3302  0.316
C: -2.2444 1.9409 -1.2360  -1.114
C: -3.2321 2.9778 -0.6865  -0.403
O: -2.8319 3.4125 0.5960  -0.409
C: -2.7289 2.3271 1.4877  -0.713
C: -1.7189 1.2799 0.9930  -0.505
H: 0.7481 -1.4840 2.0099  0.159
H: 2.8523 -1.3156 2.9040  0.362
H: 5.2516 -0.8029 2.6003  0.455
H: 4.5506 -0.0440 -1.5487  0.364
H: 2.1854 -0.5513 -1.2478  0.542
H: -2.6287 -3.6236 0.3893  0.448
H: -4.7212 -3.7130 -0.9462  0.390
H: -5.5244 -1.6532 -2.0595  0.398
H: -4.3419 0.4494 -1.7706  0.343
H: -2.5472 1.5848 -2.2192  0.601
H: -1.2599 2.4153 -1.3272  0.371
H: -3.2537 3.8687 -1.3160  0.367
H: -4.2439 2.5467 -0.6298  0.311
H: -2.4107 2.7479 2.4431  0.367
H: -3.7141 1.8480 1.6106  0.327
H: -1.6981 0.4501 1.6973  0.337
H: -0.7228 1.7360 0.9370  0.311

---

Entry 2:
Density functional theory data (ωB97M-V with the def2-TZVPD basis set) for a structure of composition C18H17F5N5NiO2Te.

Calculated values
Multiplicity: 3
Charge: +1
Energy relative to the best compared isomer or geometry (same formula, charge and spin) (kJ/mol): 11.8
E (eV): -92407.783
HOMO-LUMO gap (alpha / beta) (eV): 8.587 / 8.602

Last column: Löwdin spin population.
Element x y z (Å)
Ni: 1.1032 -1.1500 -0.2614  1.757
C: 1.4774 -2.3357 3.8481  0.002
C: 0.7003 -2.0636 2.5955  0.005
O: 1.1140 -1.2536 1.7510  0.036
N: -0.4574 -2.7168 2.4476  0.001
C: -1.3373 -2.5404 1.2966  0.000
C: -0.9125 -3.3935 0.1264  0.003
C: -1.5620 -4.5793 -0.1660  0.002
C: -1.0942 -5.3764 -1.2000  -0.003
C: 0.0250 -4.9665 -1.9011  0.002
C: 0.6182 -3.7647 -1.5598  0.003
N: 0.1536 -2.9822 -0.5803  0.050
H: 2.3858 -1.7424 3.8489  0.000
H: 1.7429 -3.3925 3.8976  0.001
H: 0.8830 -2.0935 4.7293  0.000
H: -0.7089 -3.3989 3.1448  0.000
H: -1.3178 -1.4907 1.0115  0.000
H: -2.3480 -2.8001 1.6012  0.000
H: -2.4266 -4.8758 0.4124  0.000
H: -1.5924 -6.3043 -1.4462  0.000
H: 0.4383 -5.5599 -2.7036  0.000
____________
-- The text goes on --

• Browse the best books of 2020 at the Guardian Bookshop.